(Listing)
- - -
First-principles (GGA-PBE) data for a geometry-optimized ZrScCO structure, as listed in Alexandria via LeMat-Bulk.

Values from the calculation:
ΔE_f (raw): -1.688 eV per atom
SG: R3m
theoretical density: 5.3 g/cm³

Geometry as POSCAR:
```
ZrScCO
1.0
1.6180 0.9342 5.6529
-1.6180 0.9342 5.6529
0.0000 -1.8683 5.6529
Zr Sc C O
1 1 1 1
Direct
0.0000 0.0000 0.0000
0.8173 0.8173 0.8173
0.4072 0.4072 0.4072
0.5787 0.5787 0.5787
```

~~~~~

{
  "formula": "NdDy6Er2",
  "functional": "GGA-PBE",
  "state": "relaxed",
  "vol_a3_per_atom": 32.876,
  "e_above_lowest_polymorph_mev_per_atom": 331,
  "dft_energy_ha_per_atom": -0.1566,
  "formation_enthalpy_0k_ev_per_fu": 3.15,
  "lattice_angstrom": [[3.664, 2.115, 6.362], [-3.664, 2.115, 6.362], [0.000, -4.231, 6.362]],
  "species": ["Nd", "Dy", "Dy", "Dy", "Dy", "Dy", "Dy", "Er", "Er"],
  "frac_coords": [[0.000, 0.000, 0.000], [0.056, 0.056, 0.535], [0.056, 0.535, 0.056], [0.270, 0.270, 0.703], [0.270, 0.703, 0.270], [0.535, 0.056, 0.056], [0.703, 0.270, 0.270], [0.561, 0.561, 0.561], [0.737, 0.737, 0.737]]
}
- - -
(Assignment)
Could you repeat everything further above with every line break kept?
(Completed)
First-principles (GGA-PBE) data for a geometry-optimized ZrScCO structure, as listed in Alexandria via LeMat-Bulk.

Values from the calculation:
ΔE_f (raw): -1.688 eV per atom
SG: R3m
theoretical density: 5.3 g/cm³

Geometry as POSCAR:
```
ZrScCO
1.0
1.6180 0.9342 5.6529
-1.6180 0.9342 5.6529
0.0000 -1.8683 5.6529
Zr Sc C O
1 1 1 1
Direct
0.0000 0.0000 0.0000
0.8173 0.8173 0.8173
0.4072 0.4072 0.4072
0.5787 0.5787 0.5787
```

~~~~~

{
  "formula": "NdDy6Er2",
  "functional": "GGA-PBE",
  "state": "relaxed",
  "vol_a3_per_atom": 32.876,
  "e_above_lowest_polymorph_mev_per_atom": 331,
  "dft_energy_ha_per_atom": -0.1566,
  "formation_enthalpy_0k_ev_per_fu": 3.15,
  "lattice_angstrom": [[3.664, 2.115, 6.362], [-3.664, 2.115, 6.362], [0.000, -4.231, 6.362]],
  "species": ["Nd", "Dy", "Dy", "Dy", "Dy", "Dy", "Dy", "Er", "Er"],
  "frac_coords": [[0.000, 0.000, 0.000], [0.056, 0.056, 0.535], [0.056, 0.535, 0.056], [0.270, 0.270, 0.703], [0.270, 0.703, 0.270], [0.535, 0.056, 0.056], [0.703, 0.270, 0.270], [0.561, 0.561, 0.561], [0.737, 0.737, 0.737]]
}